Assignment:
Write out the lines below up to the one that holds "0.964", that line included.

Excerpt:
********
1.
Computed, not measured: a relaxed structure of V2OF5 at the meta-GGA r2SCAN level of DFT.

Cell and atoms, written as POSCAR:
```
V2OF5
1.0
5.108 0.000 0.000
2.547 4.663 0.000
0.143 0.449 12.510
V O F
6 3 15
direct
0.000 0.000 0.000
0.005 0.012 0.488
0.297 0.376 0.159
0.321 0.352 0.664
0.635 0.698 0.332
0.689 0.665 0.821
0.089 0.668 0.082
0.254 0.883 0.388
0.941 0.536 0.724
0.060 0.483 0.286
0.125 0.137 0.119
0.191 0.229 0.544
0.264 0.687 0.584
0.391 0.828 0.942
0.395 0.007 0.743
0.465 0.472 0.784
0.541 0.540 0.214
0.586 0.022 0.247
0.601 0.196 0.050
0.707 0.356 0.415
0.737 0.147 0.612
0.778 0.820 0.451
0.856 0.899 0.878
0.921 0.365 0.925
```

Calculated values
- Symmetry: P1, No. 1

---

2.
Computed, not measured: a relaxed structure of V3O4F2 at the meta-GGA r2SCAN level of DFT.

Cell and atoms, written as POSCAR:
```
V3O4F2
1.0
4.597 0.000 0.000
0.000 13.711 0.000
0.000 0.000 2.996
V O F
6 8 4
direct
0.000 0.000 0.000
0.056 0.325 0.000
0.444 0.825 0.500
0.500 0.500 0.500
0.556 0.175 0.500
0.944 0.675 0.000
0.190 0.933 0.500
0.232 0.264 0.500
0.268 0.764 0.000
0.310 0.433 0.000
0.690 0.567 0.000
0.732 0.236 0.000
0.768 0.736 0.500
0.810 0.067 0.500
0.178 0.602 0.500
0.322 0.102 0.000
0.678 0.898 0.000
0.822 0.398 0.500
```

Calculated values
- Symmetry: Pnnm, No. 58

---

3.
Computed, not measured: a relaxed structure of V4O7F5 at the meta-GGA r2SCAN level of DFT.

Cell and atoms, written as POSCAR:
```
V4O7F5
1.0
5.068 0.000 0.000
-0.024 5.245 0.000
-0.034 -0.402 7.218
V O F
4 7 5
direct
0.000 0.000 0.000
0.011 0.988 0.513
0.499 0.488 0.024
0.572 0.487 0.520
0.334 0.227 0.956
0.443 0.520 0.247
0.630 0.512 0.744
0.745 0.819 0.038
0.752 0.229 0.450
0.830 0.729 0.450
0.957 0.017 0.742
0.138 0.020 0.250
0.244 0.325 0.540
0.245 0.721 0.943
0.339 0.825 0.540
0.836 0.329 0.051
```

Calculated values
- Symmetry: P1, No. 1

---

4.
Computed, not measured: a relaxed structure of V2OF5 at the meta-GGA r2SCAN level of DFT.

Cell and atoms, written as POSCAR:
```
V2OF5
1.0
5.305 0.000 0.000
-0.441 7.365 0.000
-2.394 -3.626 7.560
V O F
6 3 15
direct
0.000 0.000 0.000
0.010 0.504 0.008
0.312 0.845 0.685
0.356 0.337 0.665
0.636 0.668 0.325
0.664 0.176 0.347
0.210 0.970 0.864
0.362 0.621 0.151
0.555 0.313 0.541
0.032 0.294 0.472
0.038 0.292 0.083
0.098 0.349 0.803
0.277 0.048 0.596
0.296 0.043 0.205
0.372 0.623 0.753
0.438 0.689 0.487
0.623 0.380 0.266
0.626 0.378 0.881
0.688 0.967 0.808
0.706 0.959 0.416
0.765 0.014 0.138
0.900 0.658 0.207
0.943 0.708 0.929
0.957 0.707 0.530
```

Calculated values
- Symmetry: P1, No. 1

---

5.
Computed, not measured: a relaxed structure of V2OF5 at the meta-GGA r2SCAN level of DFT.

Cell and atoms, written as POSCAR:
```
V2OF5
1.0
5.077 0.000 0.000
-0.031 5.281 0.000
-2.470 -1.986 11.086
V O F
6 3 15
direct
0.000 0.000 0.000
0.134 0.167 0.333
0.324 0.361 0.664
0.477 0.526 0.998
0.656 0.695 0.332
0.804 0.837 0.667
0.196 0.750 0.023
0.627 0.585 0.689
0.958 0.915 0.355
0.010 0.952 0.829
0.103 0.641 0.626
0.294 0.438 0.829
0.305 0.242 0.035
0.327 0.466 0.299
0.342 0.268 0.497
0.432 0.972 0.290
0.530 0.076 0.701
0.622 0.786 0.495
0.660 0.806 0.958
0.670 0.604 0.164
0.771 0.299 0.964
0.863 0.410 0.369
0.954 0.117 0.162
0.993 0.133 0.629
```

Calculated values
- Symmetry: P1, No. 1

---

6.
Computed, not measured: a relaxed structure of V4O7F5 at the meta-GGA r2SCAN level of DFT.

Cell and atoms, written as POSCAR:
```
V4O7F5
1.0
5.114 0.000 0.000
2.496 4.577 0.000
2.464 1.547 8.367
V O F
4 7 5
direct
0.000 0.000 0.000
0.169 0.259 0.244
0.409 0.489 0.503
0.701 0.698 0.757
0.013 0.585 0.136
0.041 0.053 0.188
0.055 0.627 0.602
0.367 0.825 0.930
0.377 0.379 0.353
0.553 0.560 0.679
0.908 0.349 0.899
0.422 0.842 0.395
0.518 0.106 0.639
0.539 0.122 0.109
0.869 0.896 0.856
0.883 0.312 0.432
```

Calculated values
- Symmetry: P1, No. 1

---

7.
Computed, not measured: a relaxed structure of V2OF5 at the meta-GGA r2SCAN level of DFT.

Cell and atoms, written as POSCAR:
```
V2OF5
1.0
4.394 -2.514 0.000
********

Solution:
1.
Computed, not measured: a relaxed structure of V2OF5 at the meta-GGA r2SCAN level of DFT.

Cell and atoms, written as POSCAR:
```
V2OF5
1.0
5.108 0.000 0.000
2.547 4.663 0.000
0.143 0.449 12.510
V O F
6 3 15
direct
0.000 0.000 0.000
0.005 0.012 0.488
0.297 0.376 0.159
0.321 0.352 0.664
0.635 0.698 0.332
0.689 0.665 0.821
0.089 0.668 0.082
0.254 0.883 0.388
0.941 0.536 0.724
0.060 0.483 0.286
0.125 0.137 0.119
0.191 0.229 0.544
0.264 0.687 0.584
0.391 0.828 0.942
0.395 0.007 0.743
0.465 0.472 0.784
0.541 0.540 0.214
0.586 0.022 0.247
0.601 0.196 0.050
0.707 0.356 0.415
0.737 0.147 0.612
0.778 0.820 0.451
0.856 0.899 0.878
0.921 0.365 0.925
```

Calculated values
- Symmetry: P1, No. 1

---

2.
Computed, not measured: a relaxed structure of V3O4F2 at the meta-GGA r2SCAN level of DFT.

Cell and atoms, written as POSCAR:
```
V3O4F2
1.0
4.597 0.000 0.000
0.000 13.711 0.000
0.000 0.000 2.996
V O F
6 8 4
direct
0.000 0.000 0.000
0.056 0.325 0.000
0.444 0.825 0.500
0.500 0.500 0.500
0.556 0.175 0.500
0.944 0.675 0.000
0.190 0.933 0.500
0.232 0.264 0.500
0.268 0.764 0.000
0.310 0.433 0.000
0.690 0.567 0.000
0.732 0.236 0.000
0.768 0.736 0.500
0.810 0.067 0.500
0.178 0.602 0.500
0.322 0.102 0.000
0.678 0.898 0.000
0.822 0.398 0.500
```

Calculated values
- Symmetry: Pnnm, No. 58

---

3.
Computed, not measured: a relaxed structure of V4O7F5 at the meta-GGA r2SCAN level of DFT.

Cell and atoms, written as POSCAR:
```
V4O7F5
1.0
5.068 0.000 0.000
-0.024 5.245 0.000
-0.034 -0.402 7.218
V O F
4 7 5
direct
0.000 0.000 0.000
0.011 0.988 0.513
0.499 0.488 0.024
0.572 0.487 0.520
0.334 0.227 0.956
0.443 0.520 0.247
0.630 0.512 0.744
0.745 0.819 0.038
0.752 0.229 0.450
0.830 0.729 0.450
0.957 0.017 0.742
0.138 0.020 0.250
0.244 0.325 0.540
0.245 0.721 0.943
0.339 0.825 0.540
0.836 0.329 0.051
```

Calculated values
- Symmetry: P1, No. 1

---

4.
Computed, not measured: a relaxed structure of V2OF5 at the meta-GGA r2SCAN level of DFT.

Cell and atoms, written as POSCAR:
```
V2OF5
1.0
5.305 0.000 0.000
-0.441 7.365 0.000
-2.394 -3.626 7.560
V O F
6 3 15
direct
0.000 0.000 0.000
0.010 0.504 0.008
0.312 0.845 0.685
0.356 0.337 0.665
0.636 0.668 0.325
0.664 0.176 0.347
0.210 0.970 0.864
0.362 0.621 0.151
0.555 0.313 0.541
0.032 0.294 0.472
0.038 0.292 0.083
0.098 0.349 0.803
0.277 0.048 0.596
0.296 0.043 0.205
0.372 0.623 0.753
0.438 0.689 0.487
0.623 0.380 0.266
0.626 0.378 0.881
0.688 0.967 0.808
0.706 0.959 0.416
0.765 0.014 0.138
0.900 0.658 0.207
0.943 0.708 0.929
0.957 0.707 0.530
```

Calculated values
- Symmetry: P1, No. 1

---

5.
Computed, not measured: a relaxed structure of V2OF5 at the meta-GGA r2SCAN level of DFT.

Cell and atoms, written as POSCAR:
```
V2OF5
1.0
5.077 0.000 0.000
-0.031 5.281 0.000
-2.470 -1.986 11.086
V O F
6 3 15
direct
0.000 0.000 0.000
0.134 0.167 0.333
0.324 0.361 0.664
0.477 0.526 0.998
0.656 0.695 0.332
0.804 0.837 0.667
0.196 0.750 0.023
0.627 0.585 0.689
0.958 0.915 0.355
0.010 0.952 0.829
0.103 0.641 0.626
0.294 0.438 0.829
0.305 0.242 0.035
0.327 0.466 0.299
0.342 0.268 0.497
0.432 0.972 0.290
0.530 0.076 0.701
0.622 0.786 0.495
0.660 0.806 0.958
0.670 0.604 0.164
0.771 0.299 0.964